-- Listing --
+++
(1)
Starting from a structure optimized by DFT (GGA-PBE), the PXRD pattern of NaS2Cl2O6 was simulated for Cu Kα (weighted mean of Kα1 and Kα2).

Atomic structure:
Lattice parameters (Å, degrees): 6.139 6.139 6.748 90.00 90.00 120.00
Positions (direct):
Na: 0.000 0.000 0.000
S: 0.333 0.667 0.773
S: 0.667 0.333 0.227
Cl: 0.333 0.667 0.468
Cl: 0.667 0.333 0.532
O: 0.201 0.402 0.828
O: 0.201 0.799 0.828
O: 0.402 0.201 0.172
O: 0.598 0.799 0.828
O: 0.799 0.201 0.172
O: 0.799 0.598 0.172

Principal peaks in the range 2θ from 10° to 80°, by intensity:
21.28 deg, I 100; 29.09 deg, I 44; 16.68 deg, I 27; 31.40 deg, I 24; 43.70 deg, I 17; 47.20 deg, I 16; 53.36 deg, I 12; 33.72 deg, I 11; 60.31 deg, I 9; 40.09 deg, I 7

(2)
Starting from a structure optimized by DFT (GGA-PBE), the PXRD pattern of Na5S3ClO12 was simulated for Cu Kα (weighted mean of Kα1 and Kα2).

Atomic structure:
Lattice parameters (Å, degrees): 10.063 10.063 6.695 90.00 90.00 120.00
Positions (direct):
Na: 0.024 0.755 0.250
Na: 0.245 0.268 0.250
Na: 0.268 0.024 0.750
Na: 0.333 0.667 0.510
Na: 0.333 0.667 0.990
Na: 0.667 0.333 0.010
Na: 0.667 0.333 0.490
Na: 0.732 0.976 0.250
Na: 0.755 0.732 0.750
Na: 0.976 0.245 0.750
S: 0.025 0.407 0.250
S: 0.381 0.975 0.250
S: 0.407 0.381 0.750
S: 0.593 0.619 0.250
S: 0.619 0.025 0.750
S: 0.975 0.593 0.750
Cl: 0.000 0.000 0.000
Cl: 0.000 0.000 0.500
O: 0.072 0.351 0.071
O: 0.072 0.351 0.429
O: 0.120 0.579 0.250
O: 0.140 0.645 0.750
O: 0.280 0.928 0.071
O: 0.280 0.928 0.429
O: 0.351 0.280 0.571
O: 0.351 0.280 0.929
O: 0.355 0.495 0.750
O: 0.421 0.541 0.250
O: 0.459 0.880 0.250
O: 0.495 0.140 0.250
O: 0.505 0.860 0.750
O: 0.541 0.120 0.750
O: 0.579 0.459 0.750
O: 0.645 0.505 0.250
O: 0.649 0.720 0.071
O: 0.649 0.720 0.429
O: 0.720 0.072 0.571
O: 0.720 0.072 0.929
O: 0.860 0.355 0.250
O: 0.880 0.421 0.750
O: 0.928 0.649 0.571
O: 0.928 0.649 0.929

Principal peaks in the range 2θ from 10° to 80°, by intensity:
30.24 deg, I 100; 30.78 deg, I 90; 32.12 deg, I 68; 22.10 deg, I 63; 45.08 deg, I 32; 49.32 deg, I 27; 38.34 deg, I 25; 20.38 deg, I 21; 26.63 deg, I 21; 37.20 deg, I 20

(3)
Starting from a structure optimized by DFT (GGA-PBE), the PXRD pattern of Na2Y3Te4Cl3O12 was simulated for Cu Kα (weighted mean of Kα1 and Kα2).

Atomic structure:
Lattice parameters (Å, degrees): 12.371 12.371 16.809 132.19 132.19 26.15
Positions (direct):
Na: 0.044 0.628 0.934
Na: 0.372 0.956 0.566
Na: 0.628 0.044 0.434
Na: 0.956 0.372 0.066
Y: 0.244 0.756 0.250
Y: 0.251 0.746 0.914
Y: 0.254 0.749 0.586
Y: 0.746 0.251 0.414
Y: 0.749 0.254 0.086
Y: 0.756 0.244 0.750
Te: 0.069 0.667 0.305
Te: 0.174 0.556 0.597
Te: 0.333 0.931 0.195
Te: 0.444 0.826 0.903
Te: 0.556 0.174 0.097
Te: 0.667 0.069 0.805
Te: 0.826 0.444 0.403
Te: 0.931 0.333 0.695
Cl: 0.000 0.500 0.000
Cl: 0.009 0.500 0.337
Cl: 0.500 0.000 0.500
Cl: 0.500 0.009 0.837
Cl: 0.500 0.991 0.163
Cl: 0.991 0.500 0.663
O: 0.007 0.860 0.289
O: 0.017 0.130 0.386
O: 0.065 0.103 0.076
O: 0.103 0.065 0.576
O: 0.130 0.017 0.886
O: 0.140 0.993 0.211
O: 0.361 0.496 0.743
O: 0.375 0.488 0.411
O: 0.391 0.440 0.075
O: 0.440 0.391 0.575
O: 0.488 0.375 0.911
O: 0.496 0.361 0.243
O: 0.504 0.639 0.757
O: 0.512 0.625 0.089
O: 0.560 0.609 0.425
O: 0.609 0.560 0.925
O: 0.625 0.512 0.589
O: 0.639 0.504 0.257
O: 0.860 0.007 0.789
O: 0.870 0.983 0.114
O: 0.897 0.935 0.424
O: 0.935 0.897 0.924
O: 0.983 0.870 0.614
O: 0.993 0.140 0.711

Principal peaks in the range 2θ from 10° to 80°, by intensity:
30.36 deg, I 100; 30.60 deg, I 95; 31.97 deg, I 50; 10.13 deg, I 41; 19.57 deg, I 40; 45.84 deg, I 30; 53.23 deg, I 18; 23.40 deg, I 17; 23.60 deg, I 15; 24.76 deg, I 13

=====

No. 1
Simulated X-ray diffraction stick pattern of PmCd2Hg4 for copper Kα, from a crystal structure in Alexandria, relaxed with GGA-PBE.
No peak broadening, texture or thermal motion is included.

Crystal structure
a b c (Å): 8.7249 8.7249 8.7249
angles (deg): 33.50 33.50 33.50
Fractional positions:
Pm (0.0000, 0.0000, 0.0000)
Cd (0.2537, 0.2537, 0.2537)
+++
-- Activity --
Next, count the lines further above that contain the word "copper" and give the number alone.
-- Worked solution --
1